Obesity Doesn’t Pay: Overweight Teens Could Grow Up To Get Paid 18% Less Than Normal Weight Peers

As the obesity epidemic continues to balloon, a growing body of research shows that in general, obese workers are experiencing discrimination in the workplace — and are getting paid less than people of normal weight.
According to a new study published in the journal Demography, obese teenage men earn up to 18 percent less than normal weight peers. Researchers examined the data of 145,193 Swedish brothers enlisted in the Swedish National Services for mandatory military service between 1984 and 1997, and found that the trend was visible primarily in obese teenagers who grew up to earn less — but not necessarily in normal weight teenagers who gained large amounts of weight as they got older. Previous research only showed this wage trend affected obese women.
The authors compared the loss of money among Swedish obese teenagers to that of people who shaved three years of school off their education. “To put this figure in perspective, the estimated return to an additional year of schooling in Sweden is about six percent,” the authors said. “The obesity penalty thus corresponds to almost three years of schooling, which is equivalent to a university bachelor’s degree.”
The researchers also discovered a parallel trend among young men in the U.S. and the U.K., showing that it appears to be specific to males who were overweight teenagers. Their theory is that obese adolescents may be more likely to suffer self-esteem problems and discrimination by peers and teachers, knocking down their levels of cognitive and non-cognitive skills (meaning memory, attention, logic — and motivation, self-confidence, and persistence, respectively). Of course, this is quite a general statement — more research will need to be done to understand why men who were obese as teenagers on the whole get paid less than their normal weight peers.
The Centers for Disease Control & Prevention (CDC) state that obesity among children in the U.S. has doubled in the past 30 years, and quadrupled for adolescents.
“Our results suggest that the rapid increase in childhood and adolescent obesity could have long-lasting effects on the economic growth and productivity of nations,” lead author Paul Nystedt of Jönköping University in Sweden said in the press release. “We believe that the rationale for government intervention for these age groups is strong because children and adolescents are arguably less able to take future consequences of their actions into account.”
The trend the study is examining isn’t exactly a new notion — it’s been referred to as the obesity wage penalty. Studies have shown that obese women experienced the most discrimination when it came to lower salaries due to their weight. “Various studies have shown that overweight people are seen as less conscientious, less agreeable, less emotionally stable, less productive, lazy, lacking in self-discipline, and even dishonest, sloppy, ugly, socially unattractive, and sexually unskilled; the list goes on and on,” Freek Vermeulen writes on Forbes, ultimately contributing to a drop in salary.
But is this stereotype truly backed up by solid evidence? Some studies have shown that obese and hypertensive men performed worse on cognitive performance tests, and research at NYU Langone Medical Center found that obese children performed more poorly on memory and spelling tasks. “Their brains are not firing on all pistons,” Dr. Antonio Convit, professor of psychiatry and medicine and director of the BODyLab, said in a press release. “The more overweight that youth are, the more they experience the medical consequences of obesity, and the greater the difficulties they have in all these areas of cognitive functioning.” Whether this is a consequence caused by physical or biological reasons — or if it’s a matter of psychological and emotional problems created by obesity stigma — is still being examined.
The Swedish study is the first, however, to identify the pattern in men. “These results reinforce the importance of policy combating early-life obesity in order to reduce healthcare expenditures as well as poverty and inequalities later in life,” the authors write in the abstract.
## What comes next are data records, not part of the entry
┌──
Material: Er2SnAu2
Method: DFT, meta-GGA SCAN
State: PBEsol geometry

```
data_Er2SnAu2
_cell_length_a 7.735
_cell_length_b 7.735
_cell_length_c 7.309
_cell_angle_alpha 90.00
_cell_angle_beta 90.00
_cell_angle_gamma 90.00
_space_group_name_H-M_alt 'P 1'
_space_group_IT_number 1
loop_
_space_group_symop_operation_xyz
'x,y,z'
loop_
_atom_site_label
_atom_site_fract_x
_atom_site_fract_y
_atom_site_fract_z
Er1 0.155 0.155 0.000
Er2 0.186 0.186 0.500
Er3 0.314 0.686 0.000
Er4 0.345 0.655 0.500
Er5 0.655 0.345 0.500
Er6 0.686 0.314 0.000
Er7 0.814 0.814 0.500
Er8 0.845 0.845 0.000
Sn1 0.000 0.500 0.250
Sn2 0.000 0.500 0.750
Sn3 0.500 0.000 0.250
Sn4 0.500 0.000 0.750
Au1 0.128 0.872 0.283
Au2 0.128 0.872 0.717
Au3 0.372 0.372 0.217
Au4 0.372 0.372 0.783
Au5 0.628 0.628 0.217
Au6 0.628 0.628 0.783
Au7 0.872 0.128 0.283
Au8 0.872 0.128 0.717
```

Summary:
Size of the total moment = 0.00 μB per formula unit
Calculated formation energy = -1074 meV/atom
Calculated volume = 109.3 Å³/f.u.

* * * * *

First-principles (PBEsol) data for a relaxed K4SiBr crystal, as listed in Alexandria via LeMat-Bulk.

Properties
Space group = No. 216
Total magnetic moment = 1.19 Bohr magnetons per cell
Uncorrected energy = -10.851 eV/cell
E_form (uncorrected) = 0.216 eV per atom

```
K4SiBr
1.0
-2.6350 4.2390 -4.7490
-2.8340 -2.5780 -5.7261
-6.8200 0.3307 -0.9182
Br K Si
1 4 1
direct
0.0000 0.0000 0.0000
0.3748 0.3748 0.3748
0.3748 0.3748 0.8755
0.8755 0.3748 0.3748
0.3748 0.8755 0.3748
0.7500 0.7500 0.7500
```
└──
Source: Lundborg P, Nystedt P, Rooth D. “Body Size, Skills, and Income: Evidence From 150,000 Teenage Siblings.” Demography, 2014.